## Source
-- begin --
1.
Compound: KBi2Sb2
Source: Alexandria via LeMat-Bulk
Functional: PBE
Structure: relaxed

The crystal system is tetragonal. The energy relative to the lowest polymorph listed for this composition is 9.4 kJ/mol of atoms.

Unit cell a=8.426 b=8.426 c=8.426 alpha=146.88 beta=146.88 gamma=47.54
Sites, in units of the cell vectors:
K (0.000, 0.000, 0.000)
Bi (0.250, 0.750, 0.500)
Bi (0.750, 0.250, 0.500)
Sb (0.405, 0.405, 0.000)
Sb (0.595, 0.595, 0.000)


2.
Compound: KBiSb
Source: Alexandria via LeMat-Bulk
Functional: PBE
Structure: relaxed

The crystal system is hexagonal. The energy relative to the lowest polymorph listed for this composition is 2.6 kJ/mol of atoms.

Unit cell a=5.283 b=5.283 c=5.091 alpha=90.00 beta=90.00 gamma=120.00
Sites, in units of the cell vectors:
K (0.000, 0.000, 0.000)
Bi (0.333, 0.667, 0.500)
Sb (0.667, 0.333, 0.500)


3.
Compound: K2BiSb2
Source: Alexandria via LeMat-Bulk
Functional: PBE
Structure: relaxed

The crystal system is tetragonal. The energy relative to the lowest polymorph listed for this composition is 0.0 kJ/mol of atoms.

Unit cell a=8.175 b=8.175 c=5.502 alpha=90.00 beta=90.00 gamma=90.00
Sites, in units of the cell vectors:
K (0.176, 0.324, 0.000)
K (0.324, 0.824, 0.000)
K (0.676, 0.176, 0.000)
K (0.824, 0.676, 0.000)
Bi (0.000, 0.000, 0.500)
Bi (0.500, 0.500, 0.500)
Sb (0.124, 0.624, 0.500)
Sb (0.376, 0.124, 0.500)
Sb (0.624, 0.876, 0.500)
Sb (0.876, 0.376, 0.500)


| no. | raw formation energy (eV per formula unit) | VASP energy (eV/atom) |
| --- | --- | --- |
| 1 | -0.20 | -3.460 |
| 2 | -0.68 | -3.261 |
| 3 | -1.62 | -3.188 |

=====

1.
Computed, not measured: AcNd2Y3 after structural relaxation at the PBE-GGA level of DFT.

abc: 3.478 12.159 8.174
angles: 138.06 102.28 90.00
Element x y z (fractional)
1 Y 0.669 0.672 0.339
2 Y 0.331 0.334 0.661
3 Y 0.000 0.991 0.000
4 Nd 0.838 0.588 0.676
5 Nd 0.162 0.913 0.324
6 Ac 0.500 0.245 0.000

## Properties
Total moment = 0.000 μB/atom
Energy of formation from the pure elements = 426 meV per atom

---

2.
Computed, not measured: AcNdY after structural relaxation at the PBE-GGA level of DFT.

abc: 5.133 5.133 8.876
angles: 90.00 90.00 90.00
Element x y z (fractional)
1 Nd 0.500 0.000 0.298
2 Y 0.000 0.500 0.307
3 Nd 0.000 0.500 0.702
4 Ac 0.500 0.500 0.000
5 Ac 0.000 0.000 0.000
6 Y 0.500 0.000 0.693

## Properties
Total moment = 0.000 μB/atom
Energy of formation from the pure elements = 288 meV per atom
Energy above the lowest structure with this stoichiometry = 23.9 kJ/mol of atoms

---

3.
Computed, not measured: Ac2NdY after structural relaxation at the PBE-GGA level of DFT.

abc: 3.885 3.885 10.316
angles: 90.00 90.00 90.00
Element x y z (fractional)
1 Y 0.500 0.500 0.000
2 Ac 0.000 0.000 0.246
3 Nd 0.500 0.500 0.500
4 Ac 0.000 0.000 0.754

## Properties
Total moment = 0.000 μB/atom
Energy of formation from the pure elements = 38 meV per atom
Energy above the lowest structure with this stoichiometry = 0.6 kJ/mol of atoms

---

4.
Computed, not measured: Ac5Nd12Y2 after structural relaxation at the PBE-GGA level of DFT.

abc: 7.403 9.052 12.143
angles: 109.47 107.75 90.00
Element x y z (fractional)
1 Nd 0.367 0.376 0.210
2 Nd 0.946 0.790 0.398
3 Nd 0.858 0.944 0.717
4 Ac 0.651 0.088 0.303
5 Nd 0.157 0.624 0.790
6 Nd 0.547 0.690 0.094
7 Ac 0.349 0.912 0.697
8 Ac 0.754 0.513 0.509
9 Y 0.257 0.000 0.000
10 Nd 0.054 0.210 0.602
11 Ac 0.246 0.487 0.491
12 Nd 0.453 0.310 0.906
13 Nd 0.142 0.056 0.283
14 Nd 0.452 0.790 0.398
15 Ac 0.000 0.500 0.000
16 Nd 0.633 0.624 0.790
17 Nd 0.843 0.376 0.210
18 Y 0.743 0.000 0.000
19 Nd 0.548 0.210 0.602

## Properties
Total moment = 0.000 μB/atom
Energy of formation from the pure elements = 146 meV per atom

---

5.
Computed, not measured: Ac3Nd8Y after structural relaxation at the PBE-GGA level of DFT.

abc: 9.314 9.314 9.314
angles: 77.50 137.81 118.39
Element x y z (fractional)
1 Y 0.000 0.000 0.000
2 Nd 0.990 0.645 0.931
3 Ac 0.500 0.369 0.869
4 Ac 0.500 0.631 0.131
5 Nd 0.531 0.055 0.270
-- stop --

## Activity
Count the lines further above that contain the word "abc" and give the number alone.

## Completed
5